When Every Project is a Priority

Project Portfolio Management

When Every Project is a Priority

As an organization matures and its project portfolio expands, PMs may discover they’re increasingly faced with the need to prioritize the various initiatives that are vying for attention and other resources. It’s a natural progression but project teams often encounter some surprising hurdles as they work to tackle and streamline the process of prioritization. For some executive groups, identifying which projects are important and which aren’t is more difficult than expected. It’s a critical step in project portfolio managment and maintaining a healthy portfolio, though, because if you think you can simply continue forward without some firm agreements on which projects are worth the company’s time, funding, and other resources, you’re in for some unpleasant surprises.

Project Portfolio Management

For any PM who’s struggling to work out a way to prioritize their portfolio—and perhaps considering just dropping the exercise entirely to keep the peace—consider what really happens when every project is a priority.

Gaining consensus among stakeholders, sponsors, and executives becomes a sticking point. Those projects that rise to the top of the priority list are usually obvious—they’re required to continue doing business, to maintain the company’s market position, or to keep the revenue streams flowing. Where PMs are more likely to encounter disagreement is at the lower end of the priority scale. Which projects will have only a limited impact on the organization’s future, for example? Or which initiatives on the list are expected to deliver benefits to only a small group of departments? Getting the senior leadership to acknowledge that a project may not warrant significant attention in the near future can require much more time and effort than PMs expect.

/*
Computed, not measured: a structure of composition C26H29F4N8OOsS, with ωB97M-V with the def2-TZVPD basis set.

Results
* Kohn-Sham gap (alpha / beta): 7.52 / 4.94 eV
* highest occupied orbital energy (alpha / beta): -16.3 / -16.7 eV
* 2S+1: 5
* total charge: +3
* LUMO energy (alpha / beta): -8.81 / -11.76 eV
* expectation value of S²: 6.038

Each line ends with the Mulliken charge.
Atoms and positions in Å:
Os: -0.3044 -0.4098 -0.6187  1.109
C: -3.1263 -0.3555 1.2296  -0.893
C: -1.9128 -1.0828 1.7681  -0.560
N: -1.1006 -1.8479 0.7459  0.363
C: -1.9717 -2.9399 0.1782  -0.607
C: -1.2407 -4.0032 -0.6208  -1.508
C: 0.0681 -2.4457 1.5051  -0.941
C: 1.3255 -2.3750 0.6582  -0.809
N: 1.3701 -1.0194 0.0745  0.646
C: 2.6172 -0.3893 -0.0320  -0.890
C: 3.1442 -0.0040 -1.2620  0.563
F: 2.4758 -0.3037 -2.3829  -0.360
C: 4.3466 0.6819 -1.3437  0.266
F: 4.7893 1.0419 -2.5427  -0.315
C: 5.0700 0.9948 -0.2091  -0.539
C: 4.5601 0.6112 1.0189  0.326
F: 5.2047 0.9177 2.1402  -0.332
C: 3.3577 -0.0681 1.1080  0.511
F: 2.8607 -0.3876 2.3132  -0.407
H: -3.5899 0.1891 2.0521  0.515
H: -3.8783 -1.0260 0.8176  0.377
H: -2.8392 0.3791 0.4739  -0.192
H: -2.2126 -1.8048 2.5326  0.637
H: -1.2309 -0.3690 2.2297  0.028
H: -2.7272 -2.4493 -0.4338  0.268
H: -2.4860 -3.4023 1.0255  0.522
H: -0.6617 -3.5927 -1.4457  0.318
H: -1.9828 -4.6849 -1.0364  0.462
H: -0.5822 -4.6084 -0.0001  0.368
H: -0.1866 -3.4535 1.8279  0.434
H: 0.2251 -1.8338 2.3904  0.645
H: 1.3128 -3.1106 -0.1494  0.289
H: 2.2080 -2.5655 1.2680  0.609
H: 6.0193 1.5091 -0.2800  0.570
N: 2.2455 3.2774 1.4275  0.167
C: 2.1423 3.0275 2.7797  0.607
C: 2.7980 3.5221 3.8721  -1.143
C: 2.4000 2.9900 5.1092  -0.414
C: 1.3838 2.0000 5.2447  -0.761
C: 0.7358 1.5124 4.1556  -0.582
C: 1.1142 2.0303 2.8794  0.884
N: 0.6483 1.7183 1.6615  -0.201
C: 1.3541 2.4774 0.8031  0.532
C: 1.1881 2.4581 -0.6341  -0.850
C: 1.7441 3.3674 -1.4909  -0.239
S: 1.2618 3.0756 -3.0892  -0.027
C: 0.3500 1.7509 -2.5609  -0.159
N: 0.3934 1.5095 -1.2690  0.282
H: 2.8687 3.9471 1.0027  0.278
H: 3.5753 4.2718 3.8169  0.505
H: 2.8881 3.3467 6.0078  0.457
H: 1.1494 1.6494 6.2400  0.490
H: -0.0342 0.7580 4.2213  0.512
H: 2.3775 4.2103 -1.2627  0.406
H: -0.1886 1.1247 -3.2538  0.451
C: -4.8258 -0.7538 -4.4179  -1.103
N: -3.5682 -0.7723 -3.6726  0.020
C: -2.4146 -1.5909 -4.0158  -0.506
C: -1.4840 -1.2228 -2.8969  0.204
O: -0.3390 -1.6226 -2.6513  -0.722
N: -2.0651 -0.3187 -2.0658  0.388
C: -3.3194 -0.0905 -2.5602  -0.147
N: -4.1898 0.7281 -1.9938  -0.286
H: -4.6993 -1.3424 -5.3219  0.405
H: -5.0794 0.2646 -4.7127  0.400
H: -5.6318 -1.1926 -3.8293  0.380
H: -1.9957 -1.3321 -4.9908  0.414
H: -2.6466 -2.6585 -4.0058  0.426
H: -3.9480 1.2156 -1.1489  0.225
H: -5.1103 0.8718 -2.3778  0.234

Cartesian forces (eV/Å) of the 2 atoms listed first:
-0.32 0.28 0.24
-0.02 0.01 0.01

Computed, not measured: a cluster of 2 separate species, C26H29F4NO8S in total in a non-equilibrium geometry, with ωB97M-V with the def2-TZVPD basis set.

Results
* Kohn-Sham gap: 3.15 eV
*/

Pet projects are stickier than you think. Achieving consensus is even more difficult if one of these low-priority initiatives is an executive’s pet project. They may have a vested interest in seeing the initiative remain on the active list but they’re often reluctant to publicly go to bat for these types of efforts, which typically fall into the category of delivering limited value. Carrying out productive discussions about efforts that are personally important to someone on the senior leadership team are sometimes tricky as a result, and getting concessions on where they rate on the priority scale can often takes time and persistence.

Eliminating a project can be extraordinarily difficult. Even when there’s some level of agreement that an initiative is low on the priority list, PMs may have a very tough time getting the approval to actually remove the project from the team’s list of active efforts. Why is eliminating projects important in the long run? Because every project in the portfolio requires some level of management and oversight, whether it’s reevaluating where the project sits on the priority list each time a new project is added to the portfolio or simply tracking the effort’s resource needs when budget time rolls around. Companies can’t support unrealistic project lists and it’s critical that teams have the ability to trim those initiatives that won’t deliver real value to the organization.

Resources will run out eventually. If the leadership team isn’t able or willing to de-prioritize and delete projects as it becomes necessary, PMs can expect that resource management challenges won’t be far off. Few companies have enough employees in-house and enough funding available to keep every project on the active list. The bigger concern, though, is that low-priority efforts will continue to consume at least some portion of the organization’s limited resources, making those assets unavailable to the projects that really need them. Employees will spend their time and departments will spend their money on initiatives that may not ever reach completion.


PMAlliance, Inc offers project management consultingproject management training and projecportfolio management services.